New F2P Middle-earth MMORPG Coming Soon For Console And PC


A new Middle-earth MMORPG is coming to PC and consoles, even though Lord of the Rings Online is still alive and well, The new Lord Of The Rings MMO was announced by Leyou Technologies and will be published and partially developed by Athlon Games.  Athlon will not be the sole developer of the project as it will also be working in tandem with a currently unknown partner developer. The project aims to “to create an engrossing new AAA experience” set in the world created by J.R.R. Tolkien. The press release adds that players will explore “lands, people and creatures never seen before by fans of the Tolkien universe.”

Additionally, the game will be set prior to the events of the famous novel series. The press release also hints at what the MMO’s business plan will be. It notes that both Leyou Technologies and Athlon Games have a “deep expertise with free-to-play game design and service” suggesting a free-to-play model for the AAA online game. While waiting for its release, one can pass the time on other options such as those on guild games.



Details are slim to none at this point, but Dave Miller Presiden Of Athlon Games Said

“It’s a singular opportunity to work closely with Middle-earth Enterprises to create a completely new experience for fans of the landmark fantasy work of J.R.R. Tolkien, and we are excited about the resurgence of interest in The Lord of the Rings IP, This, along with several other major properties Athlon is working with, will help us to further our goal of creating AAA cooperative console and PC experiences that gamers will want to play for years to come.”


Fredrica Drotos, Chief Brand & Licensing Officer at Middle-earth Enterprises adds

“We are extremely pleased to work with Athlon Games to create a new, immersive game experience, exploring epic regions in Middle-earth during the years leading to the events of The Lord of the Rings, Athlon’s game will allow millions of Middle-earth fans throughout the world a unique opportunity for fellowship and epic exploration.”


If you haven’t heard of Athlon before, that’s because it’s a new subsidiary of Chinese publisher Leyou Technologies, the company that owns Warframe developer Digital Extremes as well as Splash Damage, the studio that most recently worked on the multiplayer for Gears of War 4. The Lord of the Rings will be Athlon’s first big project.


More news as we get it, I’ve also reached out to Standing Stone Game for any comments or statements they might wish to share, I’ll update this as soon as I hear back.
Story developing.



LOTRO Poems #20

Hail Friends! Hope you are all doing well. Happy 11th Anniversary to The Lord of The Rings Online. It is a joy to see such a wonderful game based on Tolkiens lore still going strong. While raiding is fun but the mere fact that we can just log into a game and go visit Prancing Pony in Bree or go see the Tower of Isengard or witness the destruction of the Black Gate of Mordor or walk around in the streets of Minas Tirith, the places we have read about since our childhood come to life, it is truly amazing experience. Not to mention the bond of friendship and kinship we have developed through this game and the wonderful community of players, casual and hardcore. Here’s to many more years of LOTRO! Cheers!

Casual Raiders are going strong as ever before. We recently completed Tier 2 Challenge in Abyss of Mordath Boss 1 and 2. Last night we went for a nostalgia run in Tower of Orthanc T2C. That raid is always fun and brings back so many memories. One particular memory from that raid is when I invited Layanor of MMO Reporter to our raid and he streamed our raid and many failures and eventual triumph on Twitch.

This poem is a continuation of “Estel” series of poems. Last time we met Aragorn, the fellowship had a little reunion and the good guys won the Battle of Helms Deep. If you haven’t read the previous 10 parts, first of all what is wrong with you? OK just kidding! Secondly I highly encourage reading them before this poem, Part 1, Part 2Part 3,  Part 4,  Part 5Part 6, Part 7Part 8Part 9 and Part 10. Here is “Estel” part 11. Enjoy!

Estel (part 11)

We found a Palantir of old, Pippin’s curiosity overcame,
He held it in his hands and witnessed the White Tree aflame,

Then he got caught by Sauron and he beheld the Dark Lord,
Who tortured him for information, hurt him with his sword,

But the Hobbit was pure of heart and bold,
By chance he saw the enemies plan unfold,

A fire burnt in my heart, I must go to Minas Tirith to defend the White City, I said,
But Gandalf had another plan, I must tread the pathless paths of the dead,

With my companions on my side, I called the Oathbreakers,
Showed them the sword that was broken, the forsakers,

Promised them their freedom, the release from their bond,
We went to Pelargir, to fight the corsairs in quays of Harlond,

We took their ships, to head to the burning city,
We slew the Orcs and Easterlings without pity,

So came Aragorn son of Arathorn, heir of of Isuldur and of Elendil the tall,
With blood of Numenor in his veins and the glory of the men before the fall,

South rode Eomer with the Rohirim, east rode Imrahil and the knights of Dol Amroth,
There came Legolas and Gimli and Elladan and Elrohir and the Dunedain of the North,

We fought hard and all the enemies were slain,
It was time for me to heal our hurts and pain.


Hope you guys and girls and its enjoyed this weeks LOTRO Poem. Feel free to let me know in comments. If you want to feature your poem on LOTRO Poems my email is

My Twitter: @dgenxali.

My blog:

My Kinship on Brandywine: Casual Raiders.

Be good and have a wonderful day, Namarie!

The Lord of the Rings: Living Card Game Heading To Steam


Fantasy Flight Interactive has announced plans to produce a digital version of Fantasy Flight Games’ Living Card Game The Lord of the Rings: The Card Game on the Steam platform for PC next year as its first release.



The digital adaptation will use the same mechanics and cards as the tabletop version, with players forming teams of heroes and attempting to complete adventures set in the iconic fantasy world created by J.R.R. Tolkien. To play, players must construct a digital “deck” of cards depicting allies, events, and equipment cards that they can use during the game.

The initial release will only offer solitaire play and will launch as part of Steam’s Early Access program. Later in the year, the full free-to-play version will follow on Steam and will be expanded with support for cooperative two-player play.



This will be the first game from Fantasy Flight that does not require you to own/use the board game version, with the app. The new Lord of the Rings game will instead be a stand-alone experience that does not require or interact with the regular card game. In this way, Fantasy Flight is joining a growing trend in the industry for digital versions of popular hobby games.

Players in the digital implementation will still control three heroes with 30 card decks based on the four influence spheres – Leadership, Tactics, Spirit, and Lore.

The digital implementation of the game removes much of the maintenance work that players had to manage in the original version. In the new iteration of the game players focus on the Planning and Adventuring phases. The AI will handle playing cards from Sauron’s deck and the responsibilities enemies have in engaging heroes. Players will now get to focus on their own choices rather than game maintenance.

Each scenario includes instructions on win conditions, while all scenarios are lost if the three heroes die or the ever increasing threat level reaches the maximum.




You can wishlist the game on your steam now account HERE,  After release players  can purchase on the Founder’s Packs to access the full game experience. Founder’s Packs will include additional content, in game currency, and more.

This is will be the first release from the newly formed “Fantasy Flight Interactive

Lord Of The Rings TV Show Officially Coming To Amazon Prime

Misplaced calculated crystals:
____________
Entry 1:
# K3CrO8, relaxed, DFT GGA+U
data_K3CrO8
_symmetry_space_group_name_H-M 'P 1'
_symmetry_Int_Tables_number 1
_cell_length_a 6.210
_cell_length_b 6.210
_cell_length_c 6.210
_cell_angle_alpha 113.39
_cell_angle_beta 113.39
_cell_angle_gamma 101.89
loop_
_symmetry_equiv_pos_as_xyz
'x,y,z'
loop_
_atom_site_label
_atom_site_fract_x
_atom_site_fract_y
_atom_site_fract_z
K1 0.750 0.250 0.500
K2 0.250 0.750 0.500
K3 0.500 0.500 0.000
Cr1 0.000 0.000 0.000
O1 0.223 0.810 0.000
O2 0.190 0.190 0.413
O3 0.777 0.777 0.587
O4 0.810 0.223 0.000
O5 0.045 0.313 0.000
O6 0.687 0.687 0.732
O7 0.955 0.955 0.268
O8 0.313 0.045 0.000
# M_tot ... 1.0 μB/cell
# Largest piezoelectric modulus ... 0.9 C/m2

Entry 2:
# LiMn2OF5, relaxed, DFT GGA+U
data_LiMn2OF5
_symmetry_space_group_name_H-M 'P 1'
_symmetry_Int_Tables_number 1
_cell_length_a 4.646
_cell_length_b 4.646
_cell_length_c 18.930
_cell_angle_alpha 88.31
_cell_angle_beta 88.31
_cell_angle_gamma 89.85
loop_
_symmetry_equiv_pos_as_xyz
'x,y,z'
loop_
_atom_site_label
_atom_site_fract_x
_atom_site_fract_y
_atom_site_fract_z
Li1 0.994 0.008 0.997
Li2 0.008 0.994 0.497
Li3 0.498 0.488 0.247
Li4 0.488 0.498 0.747
Mn1 0.017 0.975 0.165
Mn2 0.987 0.980 0.336
Mn3 0.975 0.017 0.665
Mn4 0.980 0.987 0.836
Mn5 0.484 0.520 0.086
Mn6 0.523 0.513 0.416
Mn7 0.513 0.523 0.916
Mn8 0.520 0.484 0.586
O1 0.803 0.797 0.412
O2 0.797 0.803 0.912
O3 0.690 0.297 0.662
O4 0.297 0.690 0.162
F1 0.796 0.800 0.082
F2 0.800 0.796 0.582
F3 0.811 0.785 0.247
F4 0.785 0.811 0.747
F5 0.686 0.325 0.008
F6 0.711 0.302 0.497
F7 0.719 0.273 0.166
F8 0.700 0.306 0.836
F9 0.707 0.293 0.333
F10 0.293 0.707 0.833
F11 0.306 0.700 0.336
F12 0.273 0.719 0.666
F13 0.302 0.711 0.997
F14 0.325 0.686 0.508
F15 0.192 0.177 0.257
F16 0.177 0.192 0.757
F17 0.226 0.216 0.417
F18 0.216 0.226 0.917
F19 0.200 0.203 0.586
F20 0.203 0.200 0.086
# M_tot ... 32.0 μB/cell

Entry 3:
# Li5Ti4Co3O16, relaxed, DFT GGA+U
data_Li5Ti4Co3O16
_symmetry_space_group_name_H-M 'P 1'
_symmetry_Int_Tables_number 1
_cell_length_a 8.316
_cell_length_b 8.424
_cell_length_c 8.435
_cell_angle_alpha 90.44
_cell_angle_beta 90.25
_cell_angle_gamma 90.03
loop_
_symmetry_equiv_pos_as_xyz
'x,y,z'
loop_
_atom_site_label
_atom_site_fract_x
_atom_site_fract_y
_atom_site_fract_z
Li1 0.885 0.122 0.382
Li2 0.756 0.249 0.751
Li3 0.754 0.750 0.257
Li4 0.624 0.874 0.874
Li5 0.360 0.378 0.619
Li6 0.361 0.620 0.380
Li7 0.129 0.378 0.867
Li8 0.128 0.624 0.134
Li9 0.119 0.138 0.617
Li10 0.120 0.871 0.373
Ti1 0.889 0.384 0.124
Ti2 0.877 0.620 0.882
Ti3 0.877 0.897 0.604
Ti4 0.633 0.111 0.120
Ti5 0.619 0.377 0.387
Ti6 0.612 0.624 0.621
Ti7 0.380 0.131 0.858
Ti8 0.375 0.862 0.135
Co1 0.998 0.500 0.500
Co2 0.496 0.496 0.998
Co3 0.502 0.997 0.496
Co4 0.253 0.249 0.249
Co5 0.245 0.754 0.755
Co6 0.006 0.998 0.997
O1 0.883 0.395 0.896
O2 0.884 0.882 0.394
O3 0.881 0.107 0.623
O4 0.880 0.609 0.108
O5 0.881 0.865 0.877
O6 0.860 0.376 0.360
O7 0.865 0.133 0.115
O8 0.861 0.631 0.640
O9 0.636 0.364 0.134
____________
Back to the page:


We told you that Amazon wanted a LOTR TV Show, and Amazon always gets what it wants.



Amazon has officially given the green light Variety reports, to a new small screen series based on J.R.R. Tolkien‘s The Lord of the Rings. The new program will set its story before the events of The Fellowship of the Ring, taking viewers on Middle-earth adventures not yet seen on the TV screen.

The deal also includes a potential additional spin-off series. The series will be produced by Amazon Studios in cooperation with the Tolkien Estate and Trust, HarperCollins and New Line Cinema, a division of Warner Bros. Entertainment.

“’The Lord of the Rings’ is a cultural phenomenon that has captured the imagination of generations of fans through literature and the big screen, We are honored to be working with the Tolkien Estate and Trust, HarperCollins and New Line on this exciting collaboration for television and are thrilled to be taking ‘The Lord of the Rings’ fans on a new epic journey in Middle Earth.” Sharon Tal Yguado, head of scripted series for Amazon Studios.

With the success of Game Of Thrones, this seemed like a no brainier that someone would attempt that type of epic set in the LOTR universe.

Amazon Has It’s “Eye” Set On Lord of the Rings TV Show


One TV show to rule them all?



Amazon is in talks with Warner Bros. Television to develop a new TV series based on The Lord of the Rings. The estate of J.R.R. Tolkien is also involved, after settling the lawsuit with Warner Bros. over a rights dispute, they two seem to be playing nice again.

Variety broke the news/rumor that Amazon is in talks with Warner Bros. Television and the Tolkien estate to adapt Lord of the Rings into a new series for Amazon.

Variety also says that Amazon CEO Jeff Bezos is personally involved with the project, which to my knowledge would be a first as Bezos doesn’t usually take such a hands-on approach to Amazon’s film and TV deals, but the CEO is apparently a big fan of fantasy and science-fiction.



There are no details on the project, so we can speculate on how it would work, and what works would be included? Could this be the way you finally see The Silmarillion hit the screen?

More details as we get it, but for now let’s dream and speculate on what want to see!